
Draft 2022/23 Budget

Kingborough Council has released its Draft 2022-23 Budget and is seeking community feedback.

“Before Council finalises the 2022-23 Budget in June, we release a Draft for community input to help us refine it,” Cr Wriedt said.

“During 2022-23 we will be starting some significant projects that will help connect residents to better services, upgrade infrastructure and advance community safety in our community.

Some of the key Capital projects ear marked in this draft budget include:

  • Over $1 million in stormwater upgrades to Illawong Crs/Hinsby Rd and Garnett Street in Blackmans Bay,
  • Over $7 million in roads upgrades including Blowhole Road Blackmans Bay and Gemalla Road Margate,
  • Over $2 million in track, reserves and playgrounds upgrades; including Twin Ovals to Spring Farm Connector Track and Spring Farm Track to Whitewater Creek, and
  • $180,000 for a local area traffic management study and precinct upgrade for Beach Road.

Some operational projects:

  • $50,000 Tree Strategy:
    • Funding used to scope out a tree strategy for Kingborough to set out the methodology, prioritisation, assessment frequencies, management and maintenance of trees in the municipality.
  • $40,000 Waterway Program
    • The funding is to implement the priority actions from the Creek Maintenance Plans for our key urban waterways to avoid and minimise damage to assets, human safety and environmental harm by improve stormwater flows and capacity.
  • $16,000 Adaption Financing Project
    • Working with Griffith University to look at adaptation activities using Snug as a case study community to provide modelling data, technical reports and consult with key stakeholders in the community.

“Generally, the cost of doing business increases for everyone, including Council every year so that is something we need to consider when putting together our annual budgets.

“Council must weigh up what it needs to deliver by law with the increasing demands for services required by the community.

“This year, the costs that impact the of running our Council, identified through the Council Cost Index (CCI), have increased to 4.06% compared to 0.95% last year.

Misplaced records of crystals
~~~
TlVSe2O8, optimized geometry, DFT PBE with a Hubbard U; final energy = -0.41945 Ry/atom; M_tot = 2.00 μB/f.u.; ρ = 4.46 g/cm³; D(E_F) = 0.0000 states/eV per atom
1.0
5.148 -0.088 0.052
2.297 4.608 0.052
0.421 0.256 8.433
Tl V Se O
1 1 2 8
Direct
0.000 0.000 0.500 Tl
0.000 0.000 0.000 V
0.631 0.631 0.192 Se
0.369 0.369 0.808 Se
0.731 0.239 0.826 O
0.765 0.765 0.041 O
0.690 0.690 0.372 O
0.310 0.310 0.628 O
0.235 0.235 0.959 O
0.239 0.731 0.826 O
0.761 0.269 0.174 O
0.269 0.761 0.174 O

----------

Record 1
## AcMgIn3 (PBE)

Data for crystalline AcMgIn3 at its relaxed geometry.

Geometry as POSCAR:
```
AcMgIn3
1.0
4.496 0.000 -1.812
-0.730 4.437 -1.812
0.182 0.214 6.936
In Ac Mg
3 1 1
Direct
0.411 0.411 0.822
0.765 0.265 0.529
0.265 0.765 0.529
0.013 0.013 0.026
0.637 0.637 0.275
```

Calculated values
SG: I4mm, No. 107
N(E_F) in states/eV per atom: 0.2982

Record 2
## AcMg6In2 (PBE)

Data for crystalline AcMg6In2 at its relaxed geometry.

Geometry as POSCAR:
```
AcMg6In2
1.0
4.718 0.000 0.000
0.000 4.718 0.000
0.000 0.000 10.462
In Mg Ac
2 6 1
Direct
0.500 0.500 0.864
0.500 0.500 0.136
0.500 0.000 0.701
0.000 0.500 0.299
0.500 0.500 0.500
0.000 0.500 0.701
0.000 0.000 0.500
0.500 0.000 0.299
0.000 0.000 0.000
```

Calculated values
SG: P4/mmm, No. 123
N(E_F) in states/eV per atom: 0.2909

Record 3
## Ac3Mg7In4 (PBE)

Data for crystalline Ac3Mg7In4 at its relaxed geometry.

Geometry as POSCAR:
```
Ac3Mg7In4
1.0
-3.161 3.361 -1.856
-6.440 1.329 6.713
1.753 7.978 4.802
Ac Mg In
3 7 4
Direct
0.297 0.200 0.205
0.000 0.500 0.500
0.703 0.800 0.795
0.503 0.807 0.188
0.665 0.187 0.482
0.000 0.000 0.000
0.848 0.377 0.926
0.335 0.813 0.518
0.497 0.193 0.812
0.152 0.623 0.074
0.652 0.473 0.224
0.132 0.085 0.651
0.348 0.527 0.776
0.868 0.915 0.349
```

Calculated values
SG: C2/m, No. 12
N(E_F) in states/eV per atom: 0.4643

Record 4
## AcMg2In4 (PBE)

Data for crystalline AcMg2In4 at its relaxed geometry.

Geometry as POSCAR:
```
AcMg2In4
1.0
5.977 0.000 -1.806
-0.546 5.952 -1.806
-1.142 -1.252 7.014
In Ac Mg
4 1 2
Direct
0.500 0.000 0.000
0.250 0.750 0.500
0.000 0.500 0.000
0.750 0.250 0.500
0.000 0.000 0.000
0.359 0.359 0.717
0.641 0.641 0.283
```

Calculated values
SG: I4/mmm, No. 139
N(E_F) in states/eV per atom: 0.6135

Record 5
## Ac3MgIn12 (PBE)

Data for crystalline Ac3MgIn12 at its relaxed geometry.

Geometry as POSCAR:
```
Ac3MgIn12
1.0
-3.787 -0.648 -2.988
-2.808 -1.145 3.807
-4.783 18.521 2.045
Ac In Mg
3 12 1
Direct
0.000 0.000 0.238
0.000 0.000 0.500
0.000 0.000 0.762
0.500 0.500 0.500
0.500 0.500 0.000
0.500 0.000 0.630
0.000 0.500 0.630
0.000 0.500 0.892
0.500 0.000 0.370
0.000 0.500 0.370
0.500 0.500 0.254
0.500 0.000 0.892
0.500 0.500 0.746
0.000 0.500 0.108
0.500 0.000 0.108
0.000 0.000 0.000
```

Calculated values
SG: P4/mmm, No. 123
N(E_F) in states/eV per atom: 0.3376

Record 6
## Ac6MgIn3 (PBE)

Data for crystalline Ac6MgIn3 at its relaxed geometry.

Geometry as POSCAR:
```
Ac6MgIn3
1.0
7.177 0.000 0.000
0.000 10.375 0.270
~~~

“Hobart’s Consumer Price Index has also increased, with the latest figures (December 2021 quarter) identified as 4.5% which is the third highest in the country.


“Despite the high CCI, Council understands that the cost of living has gone up for everyone, so it is with this in mind that we have based the draft on a 2.8% general rate increase, which is in line with our Long-Term Financial Plan.


Council will consider public feedback in May with a final decision made on the Budget in June 2022.


Please see Council’s website for more details, link on front page. Input is welcomed until the 16 May 2022 and can be sent to  or posted to Kingborough Council, 15 Channel Hwy, Kingston 7050.